View Full Version : Citalopram doseage

Between two parts of the page: records of molecules:
~~~
1) {
  "formula": "C5H12N2O",
  "method": "ωB97M-V/def2-TZVPD",
  "gap_ev": 8.71,
  "homo_energy_ev": -7.72,
  "lumo_energy_ev": 0.98,
  "smiles": "C/C=C\\N.CNC=O",
  "species": ["C", "N", "C", "O", "H", "H", "H", "H", "H", "C", "N", "C", "C", "H", "H", "H", "H", "H", "H", "H"],
  "xyz": [[-0.687, 2.073, 1.881], [0.391, 1.614, 1.022], [0.833, 0.282, 1.117], [0.303, -0.528, 1.860], [1.091, 2.317, 0.827], [1.860, 0.206, 0.720], [-1.343, 1.227, 2.078], [-1.272, 2.858, 1.398], [-0.310, 2.446, 2.835], [-1.519, -0.964, -1.192], [1.245, -2.062, -0.792], [0.986, -0.823, -1.395], [-0.248, -0.297, -1.609], [2.009, -2.604, -1.166], [0.700, -2.318, 0.020], [1.826, -0.420, -1.952], [-0.330, 0.433, -2.402], [-2.383, -0.460, -1.619], [-1.551, -2.005, -1.526], [-1.603, -0.975, -0.106]],
  "lowdin_charge": [-0.10, -0.04, -0.38, 0.01, 0.12, 0.12, 0.08, 0.08, 0.08, -0.11, 0.05, -0.27, -0.19, 0.08, 0.08, 0.10, 0.09, 0.07, 0.07, 0.06]
}

2) {
  "formula": "C5H12N2O",
  "method": "ωB97M-V/def2-TZVPD",
  "gap_ev": 9.51,
  "homo_energy_ev": -8.67,
  "lumo_energy_ev": 0.84,
  "smiles": "N/C=C/N.CCC=O",
  "species": ["C", "C", "N", "N", "H", "H", "H", "H", "H", "H", "O", "C", "C", "C", "H", "H", "H", "H", "H", "H"],
  "xyz": [[-1.631, 0.097, -1.851], [-2.069, -0.835, -1.024], [-1.967, -0.738, 0.386], [-1.750, -0.067, -3.271], [-1.173, 1.010, -1.474], [-2.527, -1.721, -1.451], [-1.029, -0.933, 0.712], [-2.576, -1.390, 0.862], [-0.880, 0.159, -3.739], [-2.441, 0.578, -3.638], [1.485, -1.276, 2.133], [1.477, -0.394, 1.316], [1.570, 1.070, 1.638], [2.674, 1.763, 0.843], [1.384, -0.632, 0.234], [1.698, 1.173, 2.713], [0.595, 1.506, 1.395], [3.648, 1.354, 1.110], [2.687, 2.828, 1.058], [2.519, 1.625, -0.228]],
  "lowdin_charge": [-0.24, -0.22, 0.02, -0.01, 0.10, 0.11, 0.04, 0.07, 0.06, 0.06, 0.05, -0.31, -0.22, -0.10, 0.12, 0.11, 0.11, 0.08, 0.07, 0.07]
}

Stability summary - winner: 1); margin: 0.173 eV.

1) {
  "formula": "C7H15N2Si",
  "method": "ωB97M-V/def2-TZVPD",
  "gap_ev": 10.68,
  "homo_energy_ev": -13.37,
  "total_charge": 1,
  "lumo_energy_ev": -2.69,
  "smiles": "Cc1c[nH+]c([Si](C)(C)C)[nH]1",
  "species": ["C", "C", "C", "C", "C", "C", "C", "N", "N", "Si", "H", "H", "H", "H", "H", "H", "H", "H", "H", "H", "H", "H", "H", "H", "H"],
  "xyz": [[2.202, -1.384, -0.158], [1.071, -2.194, -0.043], [0.438, -0.114, 0.154], [0.738, -3.612, -0.437], [-1.837, 1.037, 1.730], [-1.528, 1.353, -1.468], [0.458, 2.860, 0.316], [0.013, -1.370, 0.129], [1.752, -0.110, -0.027], [-0.721, 1.417, 0.234], [3.176, -1.595, -0.319], [0.216, -4.165, 0.359], [0.227, -3.587, -1.317], [1.497, -4.347, -0.563], [-2.654, 1.783, 1.663], [-2.486, 0.152, 1.479], [-1.159, 0.951, 2.539], [-1.851, 2.236, -1.848], [-0.946, 0.878, -2.229], [-2.412, 0.837, -1.535], [0.000, 3.853, 0.635], [1.205, 2.903, 1.039], [1.167, 3.052, -0.472], [-0.936, -1.539, 0.303], [2.369, 0.705, -0.161]],
~~~
Back to the page:

18-04-10, 19:11
Hi all

I have just joined today, and I did post this on another part of the forum but then I found this bit and thought it might be more appropriate here!

I was prescibed citalopram last week for anxiety, and have now been on it for a week. I was given 20mg tablets, and told to take 1 a day for the firrst 10 days, then start taking 2 a day, which I guess means I am effectively on 40mg? I was reading on here that that seems to be quite a big jump - does anyone know if this is normal?

Thank you!


18-04-10, 19:36
That seems a high dose to start on.

Personal question: how heavy are you? are you male or female?

18-04-10, 20:41

I'm female, about 5ft 2 and weigh just under 9 stone


18-04-10, 22:42
This may sound stupid but is there any chance you were meant to take a 10mg tablet for the first 10 days then take two?

## The piece is interrupted by data records
____________
Version P
Here is C2H8N2O2 as an isolated structure from the OMol25 dataset. Energies are from ωB97M-V with the def2-TZVPD basis set.

Calculated values
- LUMO energy: 0.88 eV
- HOMO-LUMO gap: 9.829 eV

XYZ file:
```
14
C2H8N2O2 | the OMol25 dataset | ωB97M-V with the def2-TZVPD basis set
C 1.459 0.836 0.124
C 0.242 0.056 -0.282
N -2.027 -0.299 -0.067
N -0.899 0.378 0.424
O 0.115 0.154 -1.633
O 0.548 -1.671 0.003
H 1.857 0.870 1.113
H 2.184 0.696 -0.689
H 1.219 1.888 0.135
H -2.848 -0.244 0.450
H -1.649 -1.318 -0.020
H -0.895 0.505 1.401
H -0.694 -0.168 -1.840
H 1.223 -1.957 -0.644
```



Version Q
Here is a 2-piece molecular cluster, C2H8N2O2 overall from the OMol25 dataset. Energies are from ωB97M-V with the def2-TZVPD basis set.

Calculated values
- SMILES string: CNC(N)=O.O
- LUMO energy: 0.66 eV
- HOMO-LUMO gap: 10.635 eV

XYZ file:
```
14
C2H8N2O2 | the OMol25 dataset | ωB97M-V with the def2-TZVPD basis set
C -0.043 0.831 1.413
N 0.344 0.531 0.050
C -0.616 0.378 -0.915
N -0.140 0.344 -2.208
O -1.787 0.201 -0.646
H 0.757 0.508 2.077
H -0.925 0.249 1.676
H -0.260 1.895 1.558
H 1.301 0.724 -0.192
H 0.665 0.868 -2.496
H -0.866 0.288 -2.913
O 0.854 -2.496 0.843
H 0.607 -1.725 0.305
H 0.110 -2.597 1.449
```



Version R
Here is a 2-piece molecular cluster, C2H8N2O2 overall from the OMol25 dataset. Energies are from ωB97M-V with the def2-TZVPD basis set.

Calculated values
- SMILES string: NC=O.NCO
- LUMO energy: 0.92 eV
- HOMO-LUMO gap: 10.265 eV

XYZ file:
```
14
C2H8N2O2 | the OMol25 dataset | ωB97M-V with the def2-TZVPD basis set
N -1.952 -0.237 1.291
C -1.745 -1.627 1.048
O -0.776 -2.003 0.400
H -2.732 0.337 0.982
H -1.020 0.217 1.243
H -2.617 -2.210 1.592
N 2.415 1.760 -0.920
C 1.205 1.114 -1.386
O 0.601 0.585 -0.326
H 3.152 1.119 -0.475
H 2.107 2.331 -0.018
H 1.444 0.497 -2.237
H 0.577 1.838 -1.908
H 0.488 -0.367 -0.340
```



Stability verdict: version Q, ahead by 46.7 kcal/mol

----------
____________
## Back to the piece

I would phone your practice and say you have a question about your prescription and speak to your doctor.

18-04-10, 23:16
Hi I definately wouldnt take 40mg yet ..You may find its a lot better to start on a dose and get stable on that before you increase .Each dose will take abt 4-6 weeks to settle .You may find you feel ok a bit earlier tho .Increasing to such a high dose so soon will be more than likely quite upleasant .The side effects will be worse ..I started on 10mg and worked my way up 10mg at a time .Once the initial dose is in your body the subsequent increases arent as bad ,as the drug is in your system .All the best with it ..Sue x:hugs:

Vanilla Sky
19-04-10, 13:25
Hi , I also started citalapram last week , i am on 20mg and i have to go back in a month to see how i am getting on. I wouldn't go up to 40 mg straight away , that doesn' t sound right

19-04-10, 13:38
Well, I have just called the doctors to get a call back and find out if this is definitely right or not....we shall see. Side effects have been pretty unpleasant as well so far, so was/am dreading the movement! Hopefully they will say I can just carry in with 1 tablet for a bit longer then.

Thanks for all your replies

V xx

19-04-10, 22:25
The doc I spoke too told me that he thought it sounded too much, particularly as I have been having very noticeable side effects. He told me to wait at least another week, and then try going up to 30mg.

19-04-10, 22:43
Dont feel pressured into upping until you feel ok again ..You are the one feeling rotten not the Dr ...Hope you feel better soon ..Sue x

20-04-10, 01:38
Hi , I also started citalapram last week , i am on 20mg and i have to go back in a month to see how i am getting on. I wouldn't go up to 40 mg straight away , that doesn' t sound right

Hi Paige

Glad to hear you've "joined the club". Hope it's going well for you.



20-04-10, 01:41
The doc I spoke too told me that he thought it sounded too much, particularly as I have been having very noticeable side effects. He told me to wait at least another week, and then try going up to 30mg.

Hi V

You're about big enough to fit into my pocket. I'm a fairly big guy 6ft2 and 95kgs and I had some horrible side effects starting on just 20mg. My meds took about 5-6 weeks to settle and now 6.5 weeks in, I feel like I'm having a blip! If I'm not right by 8 weeks, I'll up to 30mg.

**Next to the page, the page also holds calculated molecules**
********
Record 1
Here is a 2-piece molecular cluster, C5H8N2 overall from the Open Molecules 2025 dataset. Energies are from wB97M-V/def2-TZVPD.

- Charge: 0
- HOMO-LUMO gap: 10.29 eV
- E_LUMO: 1.2 eV
- ΔE to the lowest compared entry with this formula, charge and spin: 490.7 kJ/mol

Positions of all 15 atoms, in Å:
N1 1.886 0.300 -0.494
C1 1.418 -0.299 0.711
C2 0.411 0.291 1.544
N2 1.550 0.404 2.066
C3 -1.061 -0.918 -0.893
C4 -1.523 0.498 -1.024
C5 -2.068 -0.595 -0.152
H1 2.896 0.220 -0.557
H2 1.649 1.285 -0.539
H3 1.579 -1.377 0.729
H4 -0.320 -1.628 -1.225
H5 -0.924 1.310 -0.590
H6 -2.071 0.807 -1.916
H7 -2.797 -0.855 0.601
H8 -0.625 0.556 1.737

Here are the Löwdin charges for atoms 1 to 2, given in e: 0.05, -0.41

---

Record 2
Here is C14H17Cl2IrN as an isolated structure at a distorted geometry from the Open Molecules 2025 dataset. Energies are from wB97M-V/def2-TZVPD.

- Charge: 0
- HOMO-LUMO gap (alpha / beta): 5.69 / 6.27 eV
- E_LUMO (alpha / beta): -0.1 / -2.2 eV
- ΔE to the lowest compared entry with this formula, charge and spin: 0.0 kJ/mol
- 2S+1: 6

Positions of all 35 atoms, in Å:
Ir1 1.436 -0.115 -1.070
Cl1 0.959 -2.363 -1.021
Cl2 2.155 1.705 0.029
C1 3.254 -0.615 -0.988
H1 4.117 0.116 -0.912
H2 3.594 -1.602 -1.398
C2 -1.110 1.138 -2.140
C3 0.039 0.469 -2.351
H3 -1.157 1.766 -1.245
C4 0.313 -0.378 -3.577
H4 1.081 1.227 -2.066
C5 -0.720 -0.214 -4.690
H5 1.322 -0.150 -3.932
H6 0.351 -1.439 -3.267
C6 -2.120 -0.063 -4.069
H7 -0.473 0.689 -5.272
H8 -0.677 -1.110 -5.320
C7 -2.179 1.160 -3.151
H9 -2.861 0.024 -4.853
H10 -2.367 -0.957 -3.495
H11 -2.035 2.039 -3.801
H12 -3.160 1.331 -2.676
N1 0.554 -0.420 1.076
C8 0.319 -0.391 2.222
C9 0.107 -0.330 3.643
C10 -1.164 -0.129 4.221
C11 -1.294 0.020 5.607
C12 -0.174 -0.048 6.441
C13 1.084 -0.257 5.874
C14 1.226 -0.402 4.492
H13 -2.043 -0.080 3.576
H14 -2.278 0.189 6.042
H15 -0.276 0.058 7.524
H16 1.969 -0.309 6.506
H17 2.209 -0.561 4.042

Here are the Löwdin charges for atoms 1 to 2, given in e: 0.97, 0.03

---

Record 3
Here is C23H22AlBrN2S as an isolated structure from the Open Molecules 2025 dataset. Energies are from wB97M-V/def2-TZVPD.

- Charge: +2
- HOMO-LUMO gap: 7.26 eV
- E_LUMO: -7.1 eV
- ΔE to the lowest compared entry with this formula, charge and spin: 0.0 kJ/mol

Positions of all 50 atoms, in Å:
Al1 0.407 0.742 0.947
C1 3.423 -0.676 -5.230
C2 3.456 0.535 -4.286
C3 4.646 1.439 -4.644
C4 2.166 1.334 -4.475
C5 3.618 0.041 -2.852
C6 4.767 -0.703 -2.504
C7 4.988 -1.188 -1.236
C8 4.023 -0.925 -0.265
S1 3.990 -1.388 1.412
C9 2.500 -0.617 1.619
N1 2.034 -0.035 0.507
C10 2.885 -0.196 -0.586
C11 2.673 0.290 -1.873
C12 1.705 -0.525 2.856
C13 2.113 -1.108 4.047
C14 1.308 -0.977 5.171
C15 0.115 -0.273 5.103
C16 -0.294 0.312 3.907
C17 0.490 0.197 2.768
H1 3.309 -0.337 -6.260
H2 2.587 -1.337 -4.994
H3 4.342 -1.259 -5.176
H4 4.539 1.798 -5.668
H5 5.595 0.908 -4.581
H6 4.697 2.305 -3.982
H7 2.100 1.670 -5.509
H8 2.145 2.225 -3.840
H9 1.279 0.727 -4.273
H10 5.511 -0.902 -3.263
H11 5.880 -1.754 -1.006
********
**So much for the calculated molecules**

All the best
